This is the code implementation for the paper "Spiking Generative Adversarial Network with Attention Scoring Decoding (SGAD)".
This project includes implementations of three models (SGAN, SWGAN and SGAD) on two datasets (MNIST and CelebA).
Generative models based on neural networks present a substantial challenge within deep learning. As it stands, such models are primarily limited to the domain of artificial neural networks. Spiking neural networks, as the third generation of neural networks, offer a closer approximation to brain-like processing due to their rich spatiotemporal dynamics. However, generative models based on spiking neural networks are not well studied. Particularly, previous works on generative adversarial networks based on spiking neural networks are conducted on simple datasets and do not perform well. In this work, we pioneer constructing a spiking generative adversarial network capable of handling complex images and having higher performance. Our first task was to identify the problems of out-of-domain inconsistency and temporal inconsistency inherent in spiking generative adversarial networks. We addressed these issues by incorporating the Earth-Mover distance and an attention-based weighted decoding method, significantly enhancing the performance of our algorithm across several datasets. Experimental results reveal that our approach outperforms existing methods on the MNIST, FashionMNIST, CIFAR10, and CelebA datasets.Besides these static datasets, we also firstly attempt at generating event-based data on NMNIST dataset. Moreover, compared with hybrid spiking generative adversarial networks, where the discriminator is an artificial analog neural network, our methodology demonstrates closer alignment with the information processing patterns observed in the mouse. Our code could be found at
# Clone the repository
git clone
# Navigate to the directory
cd sgad
# Install dependencies
pip install -r requirements.txt
python train/ --config train/sgad_mnist.yaml
# Run SGAD on CelebA
Data records, kept here for reference.
- - -
Record 1
Density functional theory data (meta-GGA r2SCAN) for crystalline CsPO2F2 at its relaxed geometry.

Cell lengths 6.865, 7.968, 8.240 Å; angles 90.00, 90.00, 90.00 degrees
Fractional positions:
O 0.438 0.731 0.618
O 0.938 0.269 0.382
F 0.750 0.046 0.522
O 0.562 0.269 0.382
O 0.062 0.769 0.118
F 0.250 0.954 0.478
F 0.750 0.050 0.236
O 0.438 0.769 0.118
F 0.750 0.454 0.022
O 0.562 0.231 0.882
P 0.750 0.180 0.381
F 0.250 0.950 0.764
O 0.938 0.231 0.882
F 0.250 0.546 0.978
Cs 0.250 0.357 0.633
Cs 0.750 0.643 0.367
F 0.250 0.550 0.264
O 0.062 0.731 0.618
P 0.250 0.680 0.119
Cs 0.250 0.143 0.133
P 0.750 0.320 0.881
P 0.250 0.820 0.619
F 0.750 0.450 0.736
Cs 0.750 0.857 0.867

Properties
calculated formation energy = -2.70 eV per atom
symmetry = Pnma, No. 62

Record 2
Density functional theory data (meta-GGA r2SCAN) for crystalline K2Mg2S3O12 at its relaxed geometry.

Cell lengths 9.901, 9.901, 9.901 Å; angles 90.00, 90.00, 90.00 degrees
Fractional positions:
O 0.349 0.001 0.410
Mg 0.085 0.085 0.085
S 0.626 0.534 0.232
O 0.752 0.514 0.308
O 0.090 0.651 0.501
O 0.014 0.192 0.248
O 0.579 0.675 0.244
O 0.421 0.175 0.256
O 0.244 0.579 0.675
K 0.433 0.067 0.933
S 0.874 0.466 0.732
K 0.067 0.933 0.433
O 0.514 0.308 0.752
O 0.744 0.921 0.325
O 0.209 0.476 0.944
O 0.692 0.252 0.986
O 0.590 0.849 0.499
S 0.268 0.374 0.034
S 0.374 0.034 0.268
S 0.534 0.232 0.626
O 0.976 0.556 0.791
S 0.034 0.268 0.374
O 0.175 0.256 0.421
Mg 0.415 0.915 0.585
S 0.232 0.626 0.534
S 0.466 0.732 0.874
O 0.944 0.209 0.476
O 0.499 0.590 0.849
K 0.797 0.797 0.797
O 0.001 0.410 0.349
K 0.567 0.567 0.567
O 0.308 0.752 0.514
S 0.126 0.966 0.768
O 0.079 0.825 0.756
O 0.748 0.486 0.808
O 0.501 0.090 0.651
O 0.756 0.079 0.825
O 0.556 0.791 0.976
Mg 0.151 0.651 0.849
S 0.732 0.874 0.466
O 0.808 0.748 0.486
O 0.849 0.499 0.590
O 0.151 0.999 0.910
O 0.791 0.976 0.556
K 0.933 0.433 0.067
O 0.256 0.421 0.175
O 0.024 0.056 0.709
O 0.444 0.291 0.524
O 0.921 0.325 0.744
K 0.203 0.297 0.703
O 0.675 0.244 0.579
O 0.325 0.744 0.921
O 0.291 0.524 0.444
Mg 0.915 0.585 0.415
O 0.986 0.692 0.252
K 0.297 0.703 0.203
O 0.709 0.024 0.056
O 0.056 0.709 0.024
Mg 0.651 0.849 0.151
Mg 0.349 0.349 0.349
O 0.910 0.151 0.999
Mg 0.849 0.151 0.651
O 0.825 0.756 0.079
O 0.410 0.349 0.001
S 0.966 0.768 0.126
O 0.192 0.248 0.014
O 0.248 0.014 0.192
Mg 0.585 0.415 0.915
O 0.486 0.808 0.748
O 0.999 0.910 0.151
O 0.252 0.986 0.692
S 0.768 0.126 0.966
O 0.651 0.501 0.090
O 0.476 0.944 0.209
K 0.703 0.203 0.297
O 0.524 0.444 0.291

Properties
calculated formation energy = -2.15 eV per atom
symmetry = P2_13, No. 198

Record 3
Density functional theory data (meta-GGA r2SCAN) for crystalline Rb3Yb at its relaxed geometry.

Cell lengths 7.281, 7.281, 7.281 Å; angles 121.02, 121.02, 88.25 degrees
Fractional positions:
Yb 0.000 0.000 0.000
Rb 0.250 0.750 0.500
Rb 0.500 0.500 0.000
Rb 0.750 0.250 0.500

Properties
calculated formation energy = 0.68 eV per atom
symmetry = I4/mmm, No. 139
- - -
python train/ --config train/sgad_celeba.yaml
python train/ --config train/sgan_mnist.yaml
python train/ --config train/swgan_mnist.yaml
# Run SWGAN on CelebA
python train/ --config train/swgan_celeba.yaml
# Run on NMNIST
python train/ --config train/nmnist_28.yaml
You could change .yaml file to custom running, including data path, learning rate etc.
save_every: 5 # save checkpoint period
name: "swgan_celeba" # name of training
data_path: "../data" # where store data
epochs: 100 # epoch to train
batch_size: 64 # batch size
lr_D: 0.0002 # learning rate of Discriminator
lr_G: 0.0002 # learning rate of Generator
is_scheduler: False # whether to use CosineAnnealing scheduler
-- begin --
Compound: MgMn6O10F2
Source: the Materials Project
Functional: PBE with a Hubbard U
Structure: optimized geometry

```
MgMn6O10F2
1.0
5.077 0.000 0.000
0.000 2.924 0.000
-1.753 0.000 14.493
Mg Mn O F
1 6 10 2
direct
0.000 0.000 0.000
0.000 0.500 0.500
0.008 0.500 0.806
0.475 0.000 0.354
0.500 0.000 0.000
0.525 0.000 0.646
0.992 0.500 0.194
0.171 0.000 0.881
0.185 0.000 0.567
0.196 0.000 0.252
0.284 0.500 0.044
0.322 0.500 0.411
0.678 0.500 0.589
0.716 0.500 0.956
0.804 0.000 0.748
0.815 0.000 0.433
0.829 0.000 0.119
0.348 0.500 0.717
0.652 0.500 0.283
```

Properties
- E above lowest polymorph: 49 meV/atom
- Energy of formation: -39.6 eV/f.u.
- Size of the total moment: 1.156 μB/atom


Compound: Li2CrCSO7
Source: the Materials Project
Functional: PBE with a Hubbard U
Structure: optimized geometry

```
Li2CrCSO7
1.0
-0.366 -4.540 -4.561
-3.503 -6.692 6.944
-8.556 2.265 -1.568
O C Li S Cr
28 4 8 4 4
direct
0.250 0.034 0.856
0.250 0.534 0.856
0.750 0.374 0.920
0.250 0.251 0.866
0.250 0.207 0.424
0.066 0.906 0.341
0.750 0.293 0.576
0.750 0.875 0.920
0.250 0.625 0.080
0.067 0.406 0.341
0.567 0.094 0.659
0.750 0.107 0.419
0.250 0.893 0.581
0.250 0.707 0.424
0.250 0.126 0.080
0.934 0.594 0.659
0.434 0.406 0.341
0.567 0.594 0.659
0.750 0.749 0.134
0.750 0.249 0.134
0.433 0.906 0.341
0.250 0.751 0.866
0.750 0.466 0.144
0.250 0.393 0.581
0.750 0.607 0.419
0.750 0.793 0.576
0.933 0.094 0.659
0.750 0.966 0.144
0.750 0.861 0.062
0.750 0.361 0.062
0.250 0.639 0.938
0.250 0.139 0.938
0.025 0.892 0.819
0.525 0.108 0.181
0.975 0.608 0.181
0.525 0.608 0.181
0.475 0.892 0.819
0.025 0.392 0.819
0.975 0.108 0.181
0.475 0.392 0.819
0.750 0.647 0.576
0.250 0.853 0.424
0.750 0.147 0.576
0.250 0.353 0.424
0.250 0.119 0.640
0.750 0.881 0.360
0.250 0.619 0.639
0.750 0.381 0.361
```

Properties
- Energy of formation: -25.0 eV/f.u.
- Size of the total moment: 0.000 μB/atom


Compound: LiCaNiF6
Source: the Materials Project
Functional: PBE with a Hubbard U
Structure: optimized geometry

```
LiCaNiF6
1.0
5.148 0.000 0.000
-2.574 4.458 0.000
0.000 0.000 9.870
Li Ca Ni F
2 2 2 12
direct
0.333 0.667 0.250
0.667 0.333 0.750
0.000 0.000 0.000
0.000 0.000 0.500
0.333 0.667 0.750
0.667 0.333 0.250
0.019 0.367 0.640
0.019 0.652 0.860
0.348 0.367 0.860
0.348 0.981 0.640
0.367 0.019 0.140
0.367 0.348 0.360
0.633 0.652 0.640
0.633 0.981 0.860
0.652 0.019 0.360
0.652 0.633 0.140
0.981 0.348 0.140
0.981 0.633 0.360
```

Properties
- Energy of formation: -26.9 eV/f.u.
- Size of the total moment: 0.333 μB/atom


Compound: NaMnO2
Source: the Materials Project
Functional: PBE with a Hubbard U
Structure: optimized geometry

```
NaMnO2
1.0
3.216 0.000 0.000
-0.572 5.184 0.000
-1.317 -2.589 10.930
Na Mn O
4 4 8
direct
0.000 0.000 0.000
0.152 0.953 0.500
0.498 0.500 0.000
0.651 0.453 0.500
0.075 0.476 0.250
0.326 0.727 0.750
0.575 0.976 0.250
0.826 0.227 0.750
0.063 0.215 0.352
0.087 0.737 0.148
0.211 0.365 0.648
0.440 0.089 0.852
0.561 0.715 0.352
0.588 0.236 0.148
0.712 0.865 0.648
-- stop --
n_steps: 16 # time steps for spiking neural network
encode_type: "direct" # encoding type
device: "cuda:0" # device to use
net_D_direct_input: True # This determines net_D input shape, (...,784) or (...,28,28)
dataset: "CelebA" # which dataset
is_data_normlized: False # whether to normalize data
latent_dim: 20 # latent dim for Generator
-- begin --
Entry from Materials Project: crystalline CaTiSiO5 at its relaxed geometry (r²SCAN).

The value obtained for the formation enthalpy at 0 K is -3326 meV/atom. The electronic total energy comes out at -10.652 eV/atom.

The space group is P2_1/c (No. 14) and the conventional cell measures 6.580, 8.714 and 7.049 Å, with angles of 90.00, 113.84 and 90.00 degrees. Symmetry generates all atoms from Ca at (0.250, 0.080, 0.247), Ti at (0.250, 0.749, 0.998), Si at (0.250, 0.069, 0.749), O at (0.064, 0.185, 0.590), O at (0.149, 0.538, 0.382), O at (0.250, 0.680, 0.749), O at (0.351, 0.537, 0.116) and O at (0.435, 0.185, 0.910).

* * * * *

1.
A geometry-optimized Ca2TlZn structure. Source: the Materials Project, functional meta-GGA r2SCAN.

Unit cell a=5.314 b=5.314 c=5.314 alpha=60.00 beta=60.00 gamma=60.00
Positions (direct):
Ca: 0.250 0.250 0.250
Ca: 0.750 0.750 0.750
Tl: 0.000 0.000 0.000
Zn: 0.500 0.500 0.500

## Properties
Total magnetization = 0.0 Bohr magnetons per cell
Calculated formation energy = -147 kJ/mol of formula units


2.
A geometry-optimized CaTmZn2 structure. Source: the Materials Project, functional meta-GGA r2SCAN.

Unit cell a=5.027 b=5.027 c=5.027 alpha=60.00 beta=60.00 gamma=60.00
Positions (direct):
Ca: 0.000 0.000 0.000
Tm: 0.500 0.500 0.500
Zn: 0.250 0.250 0.250
Zn: 0.750 0.750 0.750

## Properties
Total magnetization = 0.0 Bohr magnetons per cell
Calculated formation energy = -113 kJ/mol of formula units

* * * * *

No. 1
Density functional theory data (PBE) for a relaxed structure of LuScCu2.

Unit cell a=4.7225 b=4.7225 c=4.7225 alpha=60.00 beta=60.00 gamma=60.00
With the nearest neighbours (Å) after each atom.
Fractional coordinates of all 4 atoms:
Lu  0.5000  0.5000  0.5000  8 Cu 2.89
Cu  0.7500  0.7500  0.7500  4 Sc 2.89, 4 Lu 2.89
Cu  0.2500  0.2500  0.2500  4 Lu 2.89, 4 Sc 2.89
Sc  0.0000  0.0000  0.0000  8 Cu 2.89

Properties
Formation enthalpy at 0 K, eV per atom: -0.28

***

No. 2
Density functional theory data (PBE) for a relaxed structure of LuCuSe2.

Unit cell a=4.0650 b=4.0650 c=6.3756 alpha=90.00 beta=90.00 gamma=120.00
With the nearest neighbours (Å) after each atom.
Fractional coordinates of all 4 atoms:
Cu  0.6667  0.3333  0.1780  4 Se 2.44-2.49
Se  0.3333  0.6667  0.0722  3 Cu 2.44
Se  0.6667  0.3333  0.5683  1 Cu 2.49, 3 Lu 2.78
Lu  0.0000  0.0000  0.8007  6 Se 2.78-2.92

Properties
Formation enthalpy at 0 K, eV per atom: -1.42

***

No. 3
Density functional theory data (PBE) for a relaxed structure of LuCu2Si2.

Unit cell a=5.7147 b=5.7147 c=5.7147 alpha=139.97 beta=139.97 gamma=57.89
With the nearest neighbours (Å) after each atom.
Fractional coordinates of all 5 atoms:
Si  0.6157  0.6157  0.0000  1 Si 2.31, 4 Cu 2.37
Cu  0.7500  0.2500  0.5000  4 Si 2.37
Cu  0.2500  0.7500  0.5000  4 Si 2.37
Si  0.3843  0.3843  0.0000  1 Si 2.31, 4 Cu 2.37
Lu  0.0000  0.0000  0.0000  8 Si 3.00, 8 Cu 3.17

Properties
Formation enthalpy at 0 K, eV per atom: -0.52

***

No. 4
-- stop --
is_mem: True # whether to use membrane potential for outputs
from_checkpoint: False # whether to load checkpoint
checkpoint_path: "" # checkpoint path
scoring_mode: "AttentionScoring_RGB" # attention scoring mode